Another good news for Financial Technology or FinTech in Thailand as the Cabinet has, on March 22, approved the Financial Sector Master Plan Phase III (FSMP III), jointly proposed by the Ministry of Finance (MOF) and the Bank of Thailand (BOT) running from 2016-2020.
The FSMP is part of the BOT’s three main strategies which includes the FSMP it self along with the Capital Account Liberalization Master Plan and the Payment Systems Roadmap which sits at the hearts of the Digital Economy development.
The plans were established under four pillars including “competitive, inclusive, connected and sustainable”.
“The Financial Sector Master Plan Phase III will set the course and the strategy for the BOT which wanted to pushes BOT’s and other government agencies’ policies in one direction in order to develop the country’s financial sector to match with the ever changing economic environment, the development of global financial system, the development of the capital markets and to coincide with the development plans for the country’s economy,” saidBOT’s governor, Dr Veerathai Santiprabhob.
Tongurai Limpiti, BOT’s Deputy Governor of its Financial Institutions Stability revealed the structures for the Financial Sector Master Plan Phase III into six factors, which include:
- Depth
- Stability
- Competitiveness
- Efficiency
- Accessibility
- Infrastructures
The four main policies that will support the main thought processes of competitive, inclusive, connected and sustainable are:
- Promote electronic financial and payment services as well as enhance efficiency of Thai financial system (Digitization & Efficiency) by supporting financial service providers to develop infrastructure and offer financial products and services that meet customers’ needs. In addition, the adoption of electronic transaction will be encouraged through the enhancement of financial literacy, customers’ trust and confidence, as well as pricing mechanism. At the same time, BOT will support the National e-Payment Plan, initiated by the government. Furthermore, financial service providers will be encouraged to establish automated internal working process and integrated IT system to improve operational efficiency. An industry-shared infrastructure and fraud monitoring system for managing cyber risk will also be promoted. Regarding the promotion of efficiency and stability of financial system, BOT will assess and consider the role of both existing and new players to ensure that the financial system remains robust and resilient and able to facilitate sustainable economic development. The BOT will also assess an appropriate financial landscape and consider the role of both existing and new players to ensure that the financial institutions system remains robust, resilient, efficient, as well as being able to facilitate financial and economic growth of the country.
- Support regional trade and investments linkage (Regionalization) by enhancing Thai financial system capacity to facilitate the integration of trades and investments in the region, including ASEAN Economic Community (AEC) and Greater Mekong Subregion (GMS). Key measures will include the establishment of Qualified ASEAN Banks (QABs), and the development of shared financial infrastructure and suitable financial environment among neighboring countries to foster regional trade and investment.
- Promote financial access (Access) so that individuals and businesses at all sizes (small, medium, and large corporate) are able to appropriately and widely access financial services. BOT will encourage service providers to offer financial products and services appropriate for changing customers demand, especially for aging people. At the same time, access points of services across the country will also be increased. In addition, improving SMEs database will enhance SMEs’ access to credit. The support of relevant financial institutions on credit extension to SMEs will also be promoted. Moreover, BOT will cooperate with related organization to promote market- base financing and create suitable environment for private sector’s capital raising.
- Develop relevant infrastructure (Enablers) in order to fulfill FSMP III’s vision. Key infrastructures include financial professional development, financial literacy and consumer protection, and legal infrastructure that enhance risk management and operation of financial institutions. In addition, regulations and supervisions will be strengthened to comply with international standard to ensure the stability of financial system.
The implementation of FSMP III will widely benefit the Thai economy and financial system leading to inclusive growth. Individuals and businesses will be able to access financial services and credit through diverse channels with undistorted price. This will create opportunities for business expansion, better jobs, education, and quality of living. At the same time, continuous promotion of financial literacy will lead to efficient financial management and appropriate choice of financial product by households and businesses. Consumer protection measures and financial institution supervision conducted by BOT will also help ensure the safety and soundness of the financial system.
After the FSMP III is fully implemented, the intended outcome for the Thai financial system will be as follows:
- Competitive: Thai financial institutions are competitive in both domestic and international markets by having low operating cost, wide range of products and services with affordable price.
- Inclusive: Individuals, SMEs, and Large corporate can appropriately and widely access financial services in line with their needs.
- Connected: Thai financial institutions play important roles in the region with more financial services provided to support regional trade and investment.
- Sustainable: Thai financial system is robust and ready to support the country’s economic growth as well as promoting sustainable economic well-being.
The benefits from the perspective of stakeholders include:
Materials data that have nothing to do with the page:
- - -
CuHOF | r²SCAN | optimized geometry

E_tot (eV per atom): -7.1658
M_tot (μB/cell): 4.0
Calculated formation energy (eV/atom): -1.316

Cell: 5.0410 6.3473 5.2829 Å, 90.00 113.56 90.00°
Space group P2_1/c (No. 14)
Inequivalent atoms, fractional coordinates:
Cu1 0.0113 0.1209 0.2426
H1 0.3898 0.6370 0.7497
O1 0.1745 0.6384 0.6635
F1 0.2728 0.1130 0.6302

* * * * *

(1)
VASP calculation (PBE) on a geometry-optimized LiH4CSNO2 structure.

Lattice parameters (Å, degrees): 5.8890 8.3815 9.9051 90.00 90.00 90.00
Fractional positions:
Li1 0.1151 0.2500 0.2131
Li2 0.3849 0.7500 0.7131
Li3 0.6151 0.2500 0.2869
Li4 0.8849 0.7500 0.7869
H1 0.1529 0.0169 0.7694
H2 0.1529 0.4831 0.7694
H3 0.1871 0.5714 0.9089
H4 0.1871 0.9286 0.9089
H5 0.3129 0.0714 0.4089
H6 0.3129 0.4286 0.4089
H7 0.3471 0.5169 0.2694
H8 0.3471 0.9831 0.2694
H9 0.6529 0.0169 0.7306
H10 0.6529 0.4831 0.7306
H11 0.6871 0.5714 0.5911
H12 0.6871 0.9286 0.5911
H13 0.8129 0.0714 0.0911
H14 0.8129 0.4286 0.0911
H15 0.8471 0.5169 0.2306
H16 0.8471 0.9831 0.2306
C1 0.0408 0.7500 0.4680
C2 0.4592 0.2500 0.9680
C3 0.5408 0.7500 0.0320
C4 0.9592 0.2500 0.5320
S1 0.1870 0.2500 0.6279
S2 0.3130 0.7500 0.1279
S3 0.6870 0.2500 0.8721
S4 0.8130 0.7500 0.3721
N1 0.2006 0.7500 0.5402
N2 0.2994 0.2500 0.0402
N3 0.7006 0.7500 0.9598
N4 0.7994 0.2500 0.4598
O1 0.1584 0.5889 0.8127
O2 0.1584 0.9111 0.8127
O3 0.3416 0.0889 0.3127
O4 0.3416 0.4111 0.3127
O5 0.6584 0.5889 0.6873
O6 0.6584 0.9111 0.6873
O7 0.8416 0.0889 0.1873
O8 0.8416 0.4111 0.1873

Output
Calculated formation energy in eV/f.u.: -9.624
Space-group type: Pnma

---

(2)
VASP calculation (PBE) on a geometry-optimized Hg3As2O8 structure.

Lattice parameters (Å, degrees): 10.3795 12.0345 6.6769 90.00 99.34 90.00
Fractional positions:
Hg1 0.0456 0.1190 0.1698
Hg2 0.0456 0.3810 0.6698
Hg3 0.2990 0.1021 0.6758
Hg4 0.2990 0.3979 0.1758
Hg5 0.3420 0.6711 0.5892
Hg6 0.3420 0.8289 0.0892
Hg7 0.6580 0.1711 0.9108
Hg8 0.6580 0.3289 0.4108
Hg9 0.7010 0.6021 0.8242
Hg10 0.7010 0.8979 0.3242
Hg11 0.9544 0.6190 0.3302
Hg12 0.9544 0.8810 0.8302
As1 0.0981 0.6330 0.9061
As2 0.0981 0.8670 0.4061
As3 0.3940 0.0948 0.1987
As4 0.3940 0.4052 0.6987
As5 0.6060 0.5948 0.3013
As6 0.6060 0.9052 0.8013
As7 0.9019 0.1330 0.5939
As8 0.9019 0.3670 0.0939
O1 0.0444 0.2090 0.5847
O2 0.0444 0.2910 0.0847
O3 0.0860 0.5579 0.6808
O4 0.0860 0.9421 0.1808
O5 0.1295 0.5544 0.1195
O6 0.1295 0.9456 0.6195
O7 0.2204 0.7268 0.8695
O8 0.2204 0.7732 0.3695
O9 0.2767 0.0827 0.9808
O10 0.2767 0.4173 0.4808
O11 0.2937 0.1431 0.3672
O12 0.2937 0.3569 0.8672
O13 0.4528 0.5387 0.7614
O14 0.4528 0.9613 0.2614
O15 0.4838 0.6863 0.3182
O16 0.4838 0.8137 0.8182
O17 0.5162 0.1863 0.1819
O18 0.5162 0.3137 0.6818
O19 0.5472 0.0387 0.7386
O20 0.5472 0.4613 0.2386
O21 0.7063 0.6431 0.1328
O22 0.7063 0.8569 0.6328
O23 0.7233 0.5827 0.5192
O24 0.7233 0.9173 0.0192
O25 0.7796 0.2268 0.6305
O26 0.7796 0.2732 0.1305
O27 0.8705 0.0544 0.3805
O28 0.8705 0.4456 0.8805
O29 0.9140 0.0579 0.8192
O30 0.9140 0.4421 0.3192
- - -
Back to the page:
- Financials institutions, including commercial and non-commercial banks, will gain more stability with better risk management program while opening up a channel for at least one Thai commercial bank to be large and competitive enough in the regional level. Any financial institution that has an all rounded Digital Banking technology with many financial services will be able to answer all of customer needs and there will be no more need to go to bank branches in the future. The BOT, as regulator, will have to update its regulations to match with international standard in the progress.
- The people and businesses want Banking Anywhere, Anytime on Any Devices to create equality in term of access to all types of financial services no matter if it is an individual or a corporate.
- There will be less operational cost for the overall economic activities and this will life the country’s competiveness.
“To sum-up in one sentence then the highlight is that, “Digital Banking has to exist”. Without it we will not be able to compete. If we can do it, all the other things that have been mentioned will come true including lowering costs, increasing capability, improving financial access and many other things that will follow,” Tongurai concluded.
Source: ThaiPublica, Bank of Thailand